Friday, 10 October 2008

Reality about Bengali Interpreter jobs

I hope you don't get any false hope or wrong idea that there is easy
money or plenty of demand out there for Bengali Interpreters.
Yes, there is some demand but it certainly is not easy money.
I say this because recently some of the readers of this blog have
contacted me asking for Bengali Interpreting jobs.I do not own any
agency, I was just giving some tips to fellow or would be interpreters.
And it is also true that some agencies asked me to refer female
interpreters.And I am always happy to help fellow Bengali Interpreters
if it is within my capacity to do so.
I have referred those of you who contacted me,and I hope you are happy.
One of you actually sent me a message thanking me.That's good.That
gives me real satisfaction that I have been able to help someone.
(WHAT HAPPENED TO THE OTHERS ? Even if you decided that you were not going
to pursue it any further, it would have been nice to let me know.)

Like any other business if you want to come into this profession
looking to earn a lot of money very quickly; you are obviously
mistaken.Can I repeat the age old mantra that 'There really is no such thing
as a Free Lunch'? You really have to be very patient.
And you have to put in a lot of effort and time into it.
You need to get some qualification in this field before you can even start.
Otherwise it won't be right.Does that make sense ? I hope it does.
Otherwise everybody would be (well, almost everybody)interpreters.
Even after you get some qualification, you need a lot of practice and
you need to gain experience.You will make some mistakes.But the important
thing is you need to reflect upon those mistakes and take action to improve
your skills.
You also need to refersh your skills and techniques by attending regular
training sessions.( some of the good agencies arrange these trainings)
I started this blog so that we interpreters could help each other.Like
I have given some tips , others could have given their own tips.that way we
all would have benefited.Mind you, I do not say that no one has helped me.
Few people have indeed helped me(though not through this blog) and I am grateful to

Saturday, 16 February 2008

More Tips For Bengali Interpreters

**Attached: records of crystals:**
Li2HPb | the Alexandria database | meta-GGA SCAN | single point on PBEsol structure; total magnetization = 0.000 μB per cell; density of states at the Fermi level = 0.1084 states/eV per atom; mass density = 5.8 g cm⁻³; SG = I-42d; energy relative to the lowest polymorph listed for this composition = 0.00 eV per formula unit
1.0
-2.825 2.825 3.988
2.825 -2.825 3.988
2.825 2.825 -3.988
Li H Pb
4 2 2
Direct
0.375 0.116 0.242
0.866 0.625 0.742
0.875 0.134 0.758
0.884 0.125 0.258
0.000 0.000 0.000
0.750 0.250 0.500
0.250 0.750 0.500
0.500 0.500 0.000

* * * * *

# PBE Ti4Ga3Sb, optimized geometry
# V = 16.91 Å³/atom
# Formation energy (no corrections) = -282 kJ/mol of formula units
# Density of states at the Fermi level = 16.11 states/eV/cell
# Energy = -5.963 eV/atom
data_Ti4Ga3Sb
_space_group_name_H-M_alt 'P m n a'
_space_group_IT_number 53
_space_group_name_Hall '-P 2ac 2'
_cell_length_a 8.8917
_cell_length_b 5.5205
_cell_length_c 5.5125
_cell_angle_alpha 90.00
_cell_angle_beta 90.00
_cell_angle_gamma 90.00
loop_
_atom_site_label
_atom_site_type_symbol
_atom_site_fract_x
_atom_site_fract_y
_atom_site_fract_z
Ti1 Ti 0.0000 0.0000 0.0000
Ti2 Ti 0.0000 0.5000 0.5000
Ti3 Ti 0.2500 0.2478 0.2500
Ga1 Ga 0.0000 0.5000 0.0000
Ga2 Ga 0.2500 0.2620 0.7500
Sb1 Sb 0.0000 0.0000 0.5000

* * * * *

1.
DFT (meta-GGA SCAN) results for a crystal of Li2CuPt relaxed with PBEsol.

## Properties
density of states at the Fermi level: 1.38 states/eV/cell
uncorrected energy: -22.92 eV/atom
energy relative to the elements: -378 meV per atom
crystal system: monoclinic
energy relative to the lowest polymorph listed for this composition: 49 meV per atom

Structure (CIF):
```
data_Li2CuPt
_cell_length_a 2.6850
_cell_length_b 4.2449
_cell_length_c 4.5476
_cell_angle_alpha 90.00
_cell_angle_beta 94.48
_cell_angle_gamma 90.00
_space_group_name_H-M_alt 'P 1 2/m 1'
_space_group_IT_number 10
_space_group_name_Hall '-P 2y'
loop_
_atom_site_label
_atom_site_fract_x
_atom_site_fract_y
_atom_site_fract_z
Li1 0.2304 0.0000 0.2416
Cu1 0.0000 0.5000 0.5000
Pt1 0.5000 0.5000 0.0000
```

---

2.
DFT (meta-GGA SCAN) results for a crystal of ZnMoCl2 relaxed with PBEsol.

## Properties
density of states at the Fermi level: 2.44 states/eV/cell
uncorrected energy: -16.32 eV/atom
ΔE_f (raw): -22.8 kJ/mol of atoms
crystal system: monoclinic
energy relative to the lowest polymorph listed for this composition: 0 meV per atom

Structure (CIF):
```
data_ZnMoCl2
_cell_length_a 9.8544
_cell_length_b 2.9415
_cell_length_c 6.9021
_cell_angle_alpha 90.00
_cell_angle_beta 112.69
_cell_angle_gamma 90.00
_space_group_name_H-M_alt 'C 1 m 1'
_space_group_IT_number 8
_space_group_name_Hall 'C -2y'
loop_
_atom_site_label
_atom_site_fract_x
_atom_site_fract_y
_atom_site_fract_z
Zn1 0.0000 0.0000 0.0000
Mo1 0.2304 0.5000 0.0000
Cl1 0.1772 0.0000 0.7014
Cl2 0.3386 0.0000 0.2985
```

---

3.
DFT (meta-GGA SCAN) results for a crystal of CsPSe2Br relaxed with PBEsol.

## Properties

I know some Bengali Interpreters are very busy and some rarely get
work.The reason could be the difference in how you market yourself.
There are plenty of work available if you know where to look.
Lot of interpreting work is available in the healthcare and social
Then there are solicitors' firms,courts,Prison services etc.
And never forget the opportunity to do translation and transcription
work as well.
Female interpreters have another advantage here.Sometimes clients
ask specifically for Female Interpreters.( you can understand if it is
a lady and she has some medical condition and she does not feel comfortable
to be with a male interpreter.Lot of elderly Bengali ladies are 'old fashioned'
and I don't mean it in any wrong way.I respect that and that is also part
of our culture)
Couple of interpreting agencies have approached me to find female bengali interpreters in the recent past.So if you are a female bengali interpreter
and do not mind some extra work, you can contact me.I will put you in touch
with the relevant agencies.
But the main thing is you have to be good and competent.You should always
maintain your high professional standard and abide by the codes of conduct.
Always remember your role as an interpreter and don't do anything which goes
against your specific role.
My contact no. is 07832371577 and email is

Monday, 11 February 2008

Tools For Bengali Translation

Today let me tell you a bit about different tools which may be
helpful if you are a Bengali interpreter/translator.A lot of
times interpreters are asked to translate documents/letters etc.
In the last year I have been approached quite a few times and I
have done them quite happily.
Some of you are probably familiar with 'Bijoy'software.
But I know about another one. Its called 'AVRO Phonetics'.
As the name suggests it follows phonetics so you do not have to
spend time learning the 'Keyboard'.I found it useful. May be you
can let me know your own experience or opinion.
By the way it's free.And I am not getting any commission etc. for
recommending it.It's purely because I found it useful and thought
it might be useful to you too.
In future I will talk about a tool which helps doing Transcription work.
I hope you guys are exploring all different aspects of your interpreting skills and not just limiting yourselves to Interpreting only.
Personally I am always willing to explore and experiment and find out.
That's why on top of doing interpreting work,I have also done translation
and transcription.And have enjoyed doing so.
may be again you can tell your own stories. Your preferences ;what you like
what you don't like etc.
Before I finish let me give you my contact details for any body who is
interested to get in touch for whatever reason.
My mobile is 07832371577 and email is

Calculated crystals, kept here for reference =
<<<
Entry 1:
SiAsIr2: optimized geometry, PBE-GGA.

The space group is R3m (No. 160, hexagonal axes) and the conventional cell measures 2.8712, 2.8712 and 28.9566 Å, with angles of 90.00, 90.00 and 120.00 degrees. Symmetry generates all atoms from Si at (0.0000, 0.0000, 0.0000), As at (0.0000, 0.0000, 0.2103), Ir at (0.0000, 0.0000, 0.4775) and Ir at (0.0000, 0.0000, 0.7297).

The density is 11.75 Mg/m³. The distance to the lowest polymorph of the same formula is 329.4 meV/atom. The density of states at the Fermi level comes out at 9.640 states/eV/cell. Its total magnetic moment is 0.00 μB/f.u. For the raw formation energy, the calculation gives 0.10 eV per atom.


Entry 2:
SiAsIr2: optimized geometry, PBE-GGA.

The space group is P2/m (No. 10) and the conventional cell measures 3.007, 3.713 and 5.671 Å, with angles of 90.00, 103.37 and 90.00 degrees. Symmetry generates all atoms from Si at (0.000, 0.000, 0.000), As at (0.500, 0.000, 0.500) and Ir at (0.120, 0.500, 0.763).

The density is 13.14 Mg/m³. The distance to the lowest polymorph of the same formula is 279.3 meV/atom. The density of states at the Fermi level comes out at 1.278 states/eV/cell. Its total magnetic moment is 0.00 μB/f.u. For the raw formation energy, the calculation gives 0.05 eV per atom.


Entry 3:
Si3AsIr: optimized geometry, PBE-GGA.

The space group is Pm-3m (No. 221) and the conventional cell measures 4.641, 4.641 and 4.641 Å, with angles of 90.00, 90.00 and 90.00 degrees. Symmetry generates all atoms from Si at (0.000, 0.000, 0.500), As at (0.500, 0.500, 0.500) and Ir at (0.000, 0.000, 0.000).

The density is 5.84 Mg/m³. The distance to the lowest polymorph of the same formula is 0.0 meV/atom. The density of states at the Fermi level comes out at 0.660 states/eV/cell. Its total magnetic moment is 0.00 μB/f.u. For the raw formation energy, the calculation gives 0.38 eV per atom.


Entry 4:
SiAs2Ir: optimized geometry, PBE-GGA.

The space group is I-42d (No. 122) and the conventional cell measures 5.565, 5.565 and 11.103 Å, with angles of 90.00, 90.00 and 90.00 degrees. Symmetry generates all atoms from Si at (0.000, 0.000, 0.000), As at (0.245, 0.250, 0.625) and Ir at (0.000, 0.000, 0.500).

The density is 7.15 Mg/m³. The density of states at the Fermi level comes out at 8.296 states/eV/cell. Its total magnetic moment is 0.00 μB/f.u. For the raw formation energy, the calculation gives 0.06 eV per atom.

=====

Material: ScAg3
Method: DFT, PBEsol
State: optimized geometry

abc: 4.8021 4.9983 5.8134
angles: 90.00 90.00 90.00
Fractional positions:
Ag  0.5000  0.3321  0.0000
Ag  0.0000  0.1616  0.7473
Ag  0.5000  0.8384  0.7527
Ag  0.0000  0.6679  0.5000
Ag  0.0000  0.1616  0.2527
Ag  0.5000  0.8384  0.2473
Sc  0.0000  0.6547  0.0000
Sc  0.5000  0.3453  0.5000

Computed properties:
* raw total energy: -4.39 eV/atom
* total magnetic moment: 0.00 μB per formula unit
* space-group type: No. 59
* E_form: -253 meV/atom

=====

1.
>>>

Friday, 11 January 2008

Advice and Tips for Interpreters

The idea just came to my mind that rather than just talking
about myself why not use this blog to help other interpreters
as well?Interpreting can be a 'lonely' profession.I mean you
will be working with other people but hardly see anybody of
your own profession.
So this is an attempt to get the interpreters together and
give each other support and tips.And you don't have to be
Bengali to come on to the forum.You can be any nationality _
be it Polish, Arab, French, German,Gujrati,Punjabi whatever.
If any of you(interpreters) reading this have any question
you can email me the question and I will try and answer it.
Similarly if any of you want to give any advice or tips to
other interpreters, you can either do the same or add a comment
at the end of the post.
My email is

Wednesday, 2 January 2008

Finding a Bengali/Sylheti Interpreter

This post is mainly for the benefit of agencies looking for
Bengali/Sylheti interpreter/s.I know that some of you guys
get the job at a very short notice and it can be difficult
to find somebody to do the job at such a short notice.

[Calculated crystals, as found in the file]
┌──
An optimized crystal structure of Er2CuRe. Source: Alexandria, functional GGA-PBE.

Properties
The calculation puts the density of states at the Fermi level at 2.91 states/eV/cell. The calculated formation energy is -0.03 eV per atom. Its raw total energy is -25.79 eV for the cell shown.

```
data_Er2CuRe
_chemical_formula_sum 'Er2 Cu1 Re1'
_space_group_name_H-M_alt 'P 4/m m m'
_space_group_IT_number 123
_space_group_name_Hall '-P 4 2'
_cell_length_a 3.407
_cell_length_b 3.407
_cell_length_c 7.016
_cell_angle_alpha 90.00
_cell_angle_beta 90.00
_cell_angle_gamma 90.00
loop_
_atom_site_label
_atom_site_type_symbol
_atom_site_fract_x
_atom_site_fract_y
_atom_site_fract_z
Er1 Er 0.000 0.000 0.237
Cu1 Cu 0.500 0.500 0.500
Re1 Re 0.500 0.500 0.000
```


Here is a relaxed structure of Pr5Pd2Au5 from the Alexandria database. Energies are from PBE.

Values from the calculation:
- Theoretical density: 10.39 Mg/m³
- Space group: C2/m (12)
- VASP energy: -4.99 eV per atom
- Energy relative to the elements: -0.770 eV/atom

Cell lengths 4.192, 8.643, 8.915 Å; angles 89.66, 76.40, 75.96 degrees
Positions (direct):
Pd: 0.622 0.509 0.247
Pd: 0.378 0.491 0.753
Au: 0.719 0.203 0.359
Au: 0.000 0.000 0.000
Au: 0.068 0.698 0.166
Au: 0.281 0.797 0.641
Au: 0.932 0.302 0.834
Pr: 0.619 0.078 0.684
Pr: 0.695 0.703 0.906
Pr: 0.305 0.297 0.094
Pr: 0.381 0.922 0.316
Pr: 0.000 0.500 0.500

---

Here is a relaxed structure of CaCuAs2Br from the Alexandria database. Energies are from PBE.

Values from the calculation:
- Formation energy (no corrections): -0.23 eV per atom
- Theoretical density: 4.35 Mg/m³
- Space group: P4/mmm (123)
- VASP energy: -3.64 eV per atom

Cell lengths 4.565, 4.565, 6.109 Å; angles 90.00, 90.00, 90.00 degrees
Positions (direct):
Cu: 0.000 0.000 0.000
As: 0.500 0.000 0.000
As: 0.000 0.500 0.000
Ca: 0.500 0.500 0.500
Br: 0.000 0.000 0.500

---

Here is a relaxed structure of NbCr3Ge from the Alexandria database. Energies are from PBE.

Values from the calculation:
- Theoretical density: 6.22 Mg/m³
- Space group: Pm-3m (221)
- VASP energy: -7.62 eV per atom
- Energy relative to the elements: 1.090 eV/atom

Cell lengths 4.410, 4.410, 4.410 Å; angles 90.00, 90.00, 90.00 degrees
Positions (direct):
Nb: 0.500 0.500 0.500
Cr: 0.000 0.000 0.500
Cr: 0.000 0.500 0.000
Cr: 0.500 0.000 0.000
Ge: 0.000 0.000 0.000

---

Here is a relaxed structure of VCoOs3 from the Alexandria database. Energies are from PBE.

Values from the calculation:
- Theoretical density: 13.44 Mg/m³
- Space group: Pm-3m (221)
- VASP energy: -8.29 eV per atom
- Energy relative to the elements: 1.697 eV/atom

Cell lengths 4.381, 4.381, 4.381 Å; angles 90.00, 90.00, 90.00 degrees
Positions (direct):
Co: 0.000 0.000 0.000
Os: 0.500 0.000 0.000
Os: 0.000 0.000 0.500
Os: 0.000 0.500 0.000
V: 0.500 0.500 0.500

---

Here is a relaxed structure of TaMo2Ir from the Alexandria database. Energies are from PBE.

Values from the calculation:
- Theoretical density: 14.49 Mg/m³
- Space group: Pmmm (47)
└──

You also want to make sure that the person you are asking to
do the job is properly qualified and experienced and competent.
Because in interpreting field, the code of conduct is very
important. A person can be qualified but if they do not follow
the ethics ( its very easy to fall into some traps and do something
an interpreter should never do)then thay are really doing a disservice.

Also I have not seen many Bengali / Sylheti interpreters writing about
their experiences on the net.I believe that by doing this I am really
providing a service to you in the sense that you are getting to know me
before you contact me.(My photo is there as well).Also if you are using
search engine to look for interpreters, it should save you time.

Because rather than going through other databases, you should find
my profile directly. Though I am listed on
and amongst many others.
OK, to contact me either phone 07832371577 or 02089063979 or
email me at
